**Assignment:**
Next, say how many lines of the notes below hold the word "energy_ha", as a bare number.

**Entries:**
~~~
19
Properties=species:S:1:pos:R:3:forces:R:3 method="wB97M-V/def2-TZVPD" molar_mass_g_mol=122.17 charge=0 homo_energy_ha=-0.2570 gap_ev=7.7 lumo_energy_ev=0.7 energy_ha=-382.04456 relative_energy_ev=5.6491
C 1.86784 1.19332 0.20259 -0.73 -1.42 -0.54
N 0.46296 -0.24842 0.80153 -0.79 -0.99 -0.99
C 0.54890 1.29446 1.01072 0.87 -1.63 -0.35
H 3.16894 -1.40444 -0.70231 -0.67 0.14 0.43
C -1.90389 -0.33300 0.60022 -0.58 2.77 0.99
H -1.45969 1.34243 -1.24307 0.31 0.24 0.08
H -0.03199 0.83053 -1.99682 1.77 -0.99 -4.14
C -0.44031 0.95689 -1.10603 -2.29 -0.86 4.60
H -0.59929 -1.38548 -0.74119 0.36 0.98 0.51
H 2.78400 1.69861 0.19826 0.89 0.96 -0.07
C 0.40150 1.85444 -0.25220 -0.20 1.33 -1.06
H 1.72992 -2.19865 -0.32798 -0.87 -0.92 0.05
H -1.96571 -0.91483 1.51491 0.22 -0.39 -0.13
H 0.30869 1.62313 1.99018 0.48 0.38 0.81
H -2.75104 -0.54659 -0.04988 -0.24 0.43 0.22
C -0.65174 -0.41360 -0.16435 1.26 -0.27 -1.46
H -1.83406 0.79218 0.96067 -1.13 -2.01 -0.55
C 1.66746 -0.21726 0.09927 0.09 -0.52 2.53
N 2.29233 -1.40835 -0.16864 1.25 2.78 -0.94

=====

19
Properties=species:S:1:pos:R:3:forces:R:3 method="wB97M-V/def2-TZVPD" molar_mass_g_mol=122.17 charge=0 homo_energy_ha=-0.3317 gap_ev=9.9 lumo_energy_ev=0.9 energy_ha=-381.99227 relative_energy_ev=7.0719
H -0.96107 1.85168 -1.00281 0.93 -0.18 0.88
H -4.55642 0.44992 -0.99615 2.80 -1.50 1.78
H -0.09489 -2.45417 -0.43982 3.55 2.46 0.53
H 2.80929 -1.31758 0.50394 -1.27 1.05 -2.48
N 0.01270 1.91433 -0.65087 -1.09 4.58 -0.15
H 2.47128 0.84180 0.93706 -2.73 1.90 -0.02
C 2.22235 -1.10909 -0.53600 0.62 -6.35 0.41
H 2.16678 -0.10998 -0.91292 1.06 0.21 -0.48
C -2.46746 -0.11838 0.09145 -2.85 -1.32 -0.71
C -3.60580 0.00991 -0.41855 1.41 1.43 -0.20
H -1.55945 -1.48739 1.56118 0.79 0.65 -0.92
C 0.61965 1.07641 0.25963 -2.40 -2.60 -2.62
H 2.64973 -2.04315 -1.21889 -0.64 3.06 1.16
N 1.67585 1.55888 0.64501 6.32 -0.99 2.98
C 0.74269 -1.47675 -0.27518 -2.79 0.89 1.05
H 0.40990 3.03484 -0.48099 -1.62 -4.55 -0.79
C 0.07605 -0.41672 0.26659 0.11 -0.48 0.09
C -1.25564 -0.58753 0.96451 -2.84 4.34 0.48
H -1.35552 0.38297 1.70281 0.63 -2.60 -1.01

=====

21
Properties=species:S:1:pos:R:3:forces:R:3 method="wB97M-V/def2-TZVPD" smiles="CNC1=CC=CC[C@H]1[N+](=O)[O-]" molar_mass_g_mol=154.17 charge=0 homo_energy_ha=-0.2816 gap_ev=7.6 lumo_energy_ev=0.0 energy_ha=-532.52720 relative_energy_ev=6.2536
H 0.26327 -2.72332 -1.99607 -1.08 0.22 -2.07
O 1.57108 -0.49585 2.15535 0.58 -0.65 0.04
O -0.34026 0.37170 2.46346 -0.96 0.61 -0.11
C -1.86446 0.90319 -0.48492 1.16 1.34 -0.19
C 0.08916 2.17906 0.38198 -0.38 0.29 0.69
H 0.51823 2.48577 -0.54044 0.34 0.48 -1.21
C 0.20658 -0.38357 -0.55051 1.59 2.75 3.10
C -1.37084 1.99015 0.17899 -0.77 -2.24 -0.97
H -1.99449 2.70142 0.65986 -0.75 0.45 0.00
N 1.01829 -1.43495 -0.55228 2.95 0.04 0.79
C -1.00409 -0.17525 -1.02536 -0.89 1.31 0.64
H -1.42657 -0.90299 -1.66288 -0.51 -0.68 -0.63
C 0.58145 -2.72320 -1.01703 1.91 -1.91 3.60
H 1.73462 -1.40538 0.23808 -1.34 -0.30 -1.60
H 1.50129 -3.46794 -1.00198 -1.94 1.50 0.21
C 0.86555 0.85760 0.61924 -1.65 2.14 -6.28
H -2.90626 0.81125 -0.75645 -0.17 0.11 0.38
H 1.90231 1.09163 0.31540 -0.37 -1.03 0.83
H -0.19699 -3.03796 -0.25225 0.53 -0.37 -1.34
H 0.19915 3.11552 1.02859 0.58 -1.83 -0.10
N 0.65299 0.24312 1.79922 1.17 -2.24 4.21

=====

21
Properties=species:S:1:pos:R:3:forces:R:3 method="wB97M-V/def2-TZVPD" spin_multiplicity=3 molar_mass_g_mol=154.17 charge=0 homo_energy_ha="-0.2056 / -0.3146" s_squared=2.0231 gap_ev="6.2 / 6.2" lumo_energy_ev="0.6 / -2.3" energy_ha=-532.37797 relative_energy_ev=4.4880
H -0.34764 -2.05821 -0.30292 0.13 -0.24 -0.62
C -0.13646 1.21569 0.99771 3.69 -3.95 -2.38
O -1.34415 -2.32127 -2.00028 -0.05 -0.21 -1.01
C -2.26537 1.37166 -0.12231 1.02 2.51 4.72
H 1.54780 -1.20968 -0.74847 1.16 -0.99 -0.53
H -3.16537 1.90708 0.00585 -1.35 -0.02 -0.69
C -1.42894 1.60080 1.01938 -5.12 1.19 -1.95
C -1.83943 0.65030 -1.14452 -0.04 -2.27 -2.25
H -1.92323 2.10990 1.86180 0.69 -0.20 -0.36
H 0.34257 1.34706 1.94133 1.31 -0.06 0.05
~~~

**Reply:**
4